Chapter 15: Finally

Next day :

Kairos soon started making the serum or portion according to his formula .

After a day , he completed his preperation and then Kairos walked inside a cylinder filled with liquid called "Culture Fluid" . The Culture Fluid was a nutrient-rich solution that facilitated body cell's growth and development, allowing him to absorb the energy and make up the characteristics of the Saiyan cells .He also programmed a supercomputer with all the steps necessary during his unconscious state.

After a unknown period of time .

Kairos waked up from his dream like state .

== Inserted here: records of crystals ==
____________
Record 1
The following is a GGA-PBE calculation of La2SnHg after structural relaxation, from Materials Project.

Structure (extended XYZ):
```
4
Lattice="0.000 3.936 3.936 3.936 0.000 3.936 3.936 3.936 0.000" Properties=species:S:1:pos:R:3 pbc="T T T"
La 1.968 1.968 1.968
La 5.904 5.904 5.904
Sn 0.000 0.000 0.000
Hg 3.936 3.936 3.936
```

SG = Fm-3m

Record 2
The following is a GGA-PBE calculation of LaTlHg2 after structural relaxation, from Materials Project.

Structure (extended XYZ):
```
4
Lattice="0.000 3.800 3.800 3.800 0.000 3.800 3.800 3.800 0.000" Properties=species:S:1:pos:R:3 pbc="T T T"
La 0.000 0.000 0.000
Tl 3.800 3.800 3.800
Hg 1.900 1.900 1.900
Hg 5.700 5.700 5.700
```

SG = Fm-3m

| no. | calculated formation energy (eV/atom) |
| --- | --- |
| 1 | -0.644 |
| 2 | -0.407 |

* * * * *

1.
DFT (PBE) results for a geometry-optimized CuH6CI3N structure.

Unit cell a=8.353 b=10.978 c=9.343 alpha=90.00 beta=90.00 gamma=90.00
Fractional positions:
I1 0.269 0.013 0.325
I2 0.231 0.987 0.825
I3 0.731 0.987 0.675
I4 0.029 0.250 0.996
I5 0.971 0.750 0.004
I6 0.769 0.013 0.175
I7 0.529 0.250 0.504
I8 0.231 0.513 0.825
I9 0.471 0.750 0.496
I10 0.731 0.513 0.675
I11 0.769 0.487 0.175
I12 0.269 0.487 0.325
H1 0.165 0.250 0.552
H2 0.163 0.750 0.577
H3 0.496 0.326 0.141
H4 0.494 0.168 0.881
H5 0.994 0.168 0.619
H6 0.004 0.826 0.641
H7 0.504 0.826 0.859
H8 0.337 0.250 0.077
H9 0.663 0.750 0.923
H10 0.506 0.668 0.119
H11 0.665 0.250 0.948
H12 0.004 0.674 0.641
H13 0.996 0.326 0.359
H14 0.496 0.174 0.141
H15 0.994 0.332 0.619
H16 0.335 0.750 0.052
H17 0.006 0.668 0.381
H18 0.494 0.332 0.881
H19 0.506 0.832 0.119
H20 0.837 0.250 0.423
H21 0.504 0.674 0.859
H22 0.996 0.174 0.359
H23 0.835 0.750 0.448
H24 0.006 0.832 0.381
C1 0.534 0.250 0.937
C2 0.466 0.750 0.063
C3 0.966 0.750 0.437
C4 0.034 0.250 0.563
N1 0.461 0.250 0.083
N2 0.039 0.750 0.583
N3 0.539 0.750 0.917
N4 0.961 0.250 0.417
Cu1 0.500 0.500 0.500
Cu2 0.000 0.000 0.000
Cu3 0.500 0.000 0.500
Cu4 0.000 0.500 0.000

Values from the calculation:
As for the magnetization: 0.000 μB per cell. As for the space group: Pnma, No. 62. For the formation energy, the calculation gives -0.28 eV/atom. The value obtained for the MP2020-corrected energy is -4.1595 eV per atom. The calculated total energy is -4.129 eV/atom.

2.
DFT (PBE) results for a geometry-optimized CuH24C9S3IN6 structure.

Unit cell a=8.230 b=10.595 c=13.213 alpha=69.46 beta=80.46 gamma=83.12
Fractional positions:
Cu1 0.842 0.603 0.461
Cu2 0.158 0.397 0.539
H1 0.074 0.008 0.879
H2 0.716 0.828 0.507
H3 0.926 0.686 0.802
H4 0.564 0.986 0.139
H5 0.199 0.864 0.864
H6 0.678 0.284 0.702
H7 0.790 0.083 0.023
H8 0.210 0.917 0.977
H9 0.074 0.314 0.198
H10 0.511 0.026 0.377
H11 0.565 0.690 0.366
H12 0.137 0.664 0.091
H13 0.569 0.211 0.835
H14 0.993 0.449 0.924
H15 0.661 0.106 0.757
H16 0.436 0.014 0.861
H17 0.686 0.023 0.550
H18 0.003 0.865 0.584
H19 0.926 0.992 0.121
H20 0.489 0.974 0.623
H21 0.670 0.923 0.691
H22 0.322 0.716 0.298
____________

Kairos : As I slowly open my eyes , I feel grogginess washes over me . My mind feels foogy like a dense misr has settled, my mouth feels dry and voice barely above a whisper.

After minutes of adjusting , I walked out of the liquid filled cylinder.

And then I goes to see my body on a mirror I saw

my body became lean and athletic, with well-defined muscles honed from intense martial arts training and battles. He stands at around 5'7" with a wiry physique, as his possing super human strength .

His face became heart-shaped, with a rounded jawline, high cheekbones, and a small nose.

_Records of crystals, kept here for reference_
44
Lattice="-4.580 3.378 2.513 -1.594 -4.370 9.364 7.587 3.436 3.926" Properties=species:S:1:pos:R:3 comment="CaFeP2O7 | Materials Project | PBE+U | optimized geometry" magnetic_moment_mub_per_fu=0.00 energy_corrected_mp2020_ev_per_atom=-7.873 rho_g_cm3=3.22 e_above_lowest_polymorph_mev_per_atom=11 final_energy_ev_per_atom=-7.2311 pbc="T T T"
Ca -0.472 0.570 11.574
Ca -3.469 1.036 4.928
Ca 1.887 1.875 4.230
Ca 4.883 1.408 10.875
O -1.717 -0.472 5.562
O 0.425 -1.520 6.172
O -0.987 -2.996 8.292
O 0.147 -0.547 3.808
O 3.259 1.012 8.109
O 0.135 3.383 3.595
O -2.188 1.538 10.230
O -1.728 3.457 5.350
O -1.956 1.928 3.363
O 3.132 2.916 10.241
O 5.014 2.383 3.453
O 0.990 3.963 9.631
O -3.154 -0.413 8.910
O 4.568 2.857 6.893
O 1.150 0.963 14.337
O 1.279 -0.939 12.207
O 0.373 0.983 5.794
O 3.370 0.516 12.440
O 1.041 1.461 10.009
O 2.401 5.441 7.511
O -1.845 1.430 7.694
O 3.142 -1.013 10.453
O -0.022 -1.046 9.613
O -3.600 0.061 12.350
O 1.436 3.490 6.191
O 1.267 2.991 11.995
O 0.264 1.480 1.466
O 3.603 0.906 5.573
Fe 2.600 2.181 13.525
Fe -0.398 2.648 6.883
Fe 1.811 -0.204 8.922
Fe -1.186 0.263 2.278
P -0.226 -0.342 5.292
P 1.854 4.972 6.152
P 4.151 1.374 6.931
P 1.640 2.786 10.511
P -2.736 1.069 8.873
P -1.357 3.253 3.866
P -0.440 -2.528 9.651
P 2.771 -0.809 11.937

=====

Record 1
Al2NiO4 | Materials Project | PBE+U | optimized geometry; total moment = 2.0 μB per formula unit; calculated formation energy = -2.799 eV/atom; E above lowest polymorph = 3.9 meV per atom
1.0
4.974 -2.888 0.000
4.974 2.888 0.000
-3.474 0.000 23.288
Al Ni O
20 10 40
Direct
0.000 0.000 0.000 Al
0.071 0.571 0.727 Al
0.139 0.139 0.451 Al
0.169 0.674 0.527 Al
0.203 0.203 0.602 Al
0.270 0.765 0.326 Al
0.340 0.340 0.053 Al
0.370 0.870 0.127 Al
0.399 0.399 0.199 Al
0.469 0.469 0.424 Al
0.470 0.970 0.927 Al
0.541 0.541 0.653 Al
0.571 0.071 0.727 Al
0.600 0.600 0.800 Al
0.674 0.169 0.527 Al
0.739 0.739 0.253 Al
0.765 0.270 0.326 Al
0.870 0.370 0.127 Al
0.941 0.941 0.854 Al
0.970 0.470 0.927 Al
0.070 0.070 0.227 Ni
0.070 0.070 0.727 Ni
0.269 0.269 0.326 Ni
0.270 0.270 0.827 Ni
0.470 0.470 0.927 Ni
0.670 0.670 0.027 Ni
0.673 0.673 0.527 Ni
0.796 0.796 0.401 Ni
0.870 0.870 0.126 Ni
0.871 0.871 0.627 Ni
0.012 0.508 0.080 O
0.022 0.022 0.574 O
0.029 0.029 0.079 O
0.036 0.526 0.574 O
0.109 0.613 0.880 O
0.110 0.110 0.373 O
0.124 0.124 0.880 O
0.157 0.616 0.376 O
0.213 0.709 0.680 O
0.215 0.215 0.172 O
0.230 0.230 0.680 O
0.231 0.728 0.173 O
0.311 0.311 0.974 O
0.319 0.799 0.476 O
0.328 0.832 0.973 O
0.329 0.329 0.477 O
0.413 0.906 0.280 O
0.417 0.417 0.773 O
0.426 0.426 0.277 O
0.432 0.927 0.773 O
0.508 0.012 0.080 O
0.512 0.512 0.574 O
0.524 0.524 0.080 O
0.526 0.036 0.574 O
0.598 0.598 0.373 O
0.613 0.109 0.880 O
0.616 0.157 0.376 O
0.629 0.629 0.879 O
0.709 0.213 0.680 O
0.711 0.711 0.174 O
0.724 0.724 0.680 O
0.728 0.231 0.173 O
0.799 0.319 0.476 O
0.817 0.817 0.973 O
0.832 0.328 0.973 O
0.837 0.837 0.486 O
0.906 0.413 0.280 O
0.912 0.912 0.774 O
0.921 0.921 0.281 O
0.927 0.432 0.773 O

With eyes now more bright, piercing brown, filled with a fierce determination . His hair became short now as before his hair used to be silky and reach his shoulder but now it became spiky straight jet black with a few stray strands often falling across his forehead just like Goku.

After seeing himself,

Kairos: "Woh , I am completely changed , after becoming a Saiyan , I feel like my body has gained too much power and explosive strength ".

He then clench his first and he can feels those explosive energy in his body .

Kairos :" So, this is what Saiyan feels like"

Now let's see the panel .

No Pain No Gain

Name - Kairos

Year - 743

Power- 2340

Life Stage - 0.001

Intelligence - 330

Endurance - 1200

Ability - None

Techniques - Floating Technique(level 2), Ki(level 6) , Afterimage fist(level 2) .

Bloodline - Saiyan

Physique - Saiyan

Evolution Stage - 0.005

Talent: Mechanical Engineer ( level 7) , Biological Researcher(Level 8) , Mathematician (level 8), Cellular Biologist (Level 9), Researcher( level 7) , Accounting ( level 4 ), Programming (level 4 ), Coding(level 7), Genetic engineering (level 6), Gene Expression Data Analyst(level 5)]

Kairos:"Woh I gained so much power, it really feels good.

Now I can completely defeat Raditz . As in starting he had 1500 power. "

Kairos :"Let's explode my whole power to relax my body, because now every joints of my body is screaming for fight . "

Someone pasted records of crystals at this point:
=====
Density functional theory data (PBE) for Na3CaB5O10 after structural relaxation.

## Properties
The raw total energy is -541.77 eV for the cell shown. As for the energy with MP2020 corrections: -142.3 eV per formula unit. The magnetization is 0.00 μB per formula unit.

Lattice parameters (Å, degrees): 7.5130 9.8342 13.0896 91.24 90.07 109.48
Fractional coordinates of all 76 atoms:
1 Na 0.0016 0.2622 0.2628
2 Na 0.1266 0.5533 0.1098
3 Na 0.1845 0.1847 0.0032
4 Na 0.3163 0.8312 0.4805
5 Na 0.3832 0.4580 0.3889
6 Na 0.4918 0.2371 0.7707
7 Na 0.5082 0.7629 0.2293
8 Na 0.6168 0.5420 0.6111
9 Na 0.6837 0.1688 0.5195
10 Na 0.8155 0.8153 0.9968
11 Na 0.8734 0.4467 0.8902
12 Na 0.9984 0.7378 0.7372
13 Ca 0.0038 0.8716 0.2410
14 Ca 0.4764 0.1116 0.2671
15 Ca 0.5236 0.8884 0.7329
16 Ca 0.9962 0.1284 0.7590
17 B 0.0780 0.5995 0.3525
18 B 0.1625 0.2961 0.5677
19 B 0.1794 0.1327 0.4181
20 B 0.2197 0.9350 0.9023
21 B 0.2496 0.4550 0.8755
22 B 0.2517 0.5629 0.6176
23 B 0.2915 0.8703 0.0756
24 B 0.3036 0.0934 0.5861
25 B 0.3389 0.7209 0.9240
26 B 0.4149 0.3883 0.1381
27 B 0.5851 0.6117 0.8619
28 B 0.6611 0.2791 0.0760
29 B 0.6964 0.9066 0.4139
30 B 0.7085 0.1297 0.9244
31 B 0.7483 0.4371 0.3824
32 B 0.7504 0.5450 0.1245
33 B 0.7803 0.0650 0.0977
34 B 0.8206 0.8673 0.5819
35 B 0.8375 0.7039 0.4323
36 B 0.9220 0.4005 0.6475
37 O 0.0223 0.7173 0.3863
38 O 0.0665 0.5379 0.6538
39 O 0.1143 0.3259 0.8663
40 O 0.1376 0.2498 0.4587
41 O 0.1638 0.0998 0.3174
42 O 0.1803 0.0320 0.8462
43 O 0.2048 0.5735 0.9147
44 O 0.2046 0.9428 0.0102
45 O 0.2319 0.3693 0.1447
46 O 0.2430 0.2022 0.6289
47 O 0.2506 0.0508 0.4834
48 O 0.2557 0.6187 0.3285
49 O 0.2728 0.8216 0.8608
50 O 0.2932 0.4459 0.5732
51 O 0.3057 0.9020 0.1763
52 O 0.3572 0.7657 0.0335
53 O 0.3841 0.6941 0.6234
54 O 0.4128 0.0329 0.6346
55 O 0.4401 0.4754 0.8494
56 O 0.4740 0.2681 0.1170
57 O 0.5260 0.7319 0.8830
58 O 0.5599 0.5246 0.1506
59 O 0.5872 0.9671 0.3654
60 O 0.6159 0.3059 0.3766
61 O 0.6428 0.2343 0.9665
62 O 0.6943 0.0980 0.8237
63 O 0.7068 0.5541 0.4268
64 O 0.7272 0.1784 0.1392
65 O 0.7443 0.3813 0.6715
66 O 0.7494 0.9492 0.5166
67 O 0.7570 0.7978 0.3711
68 O 0.7681 0.6307 0.8553
69 O 0.7954 0.0572 0.9898
70 O 0.7952 0.4265 0.0853
71 O 0.8197 0.9680 0.1538
72 O 0.8362 0.9002 0.6826
73 O 0.8624 0.7502 0.5413
74 O 0.8857 0.6741 0.1337
75 O 0.9335 0.4621 0.3462
76 O 0.9777 0.2827 0.6137
=====


A wind swept away from him making all the items in laboratory fly away .


(The floor creaks)

Somewhere far away above the clouds invisible to naked eye , on the lookout Kami- Sama noticed the strong qi .

Kami-Sama: When did such a strong qi come to earth , last time that human with strong qi and now this .


What sort of trouble is coming to earth .


Then he search with his ability to look the strong qi , he find it's the same person and exclaim in shock..

Kami-Sama: "How did he become so powerful so quickly !!!! "

This talent is monstrous.

Let's keep a watch on him , whether he is fit to become the next God of earth to keep the earth safe


Kairos:"It feels awesome .

Now I should check how much time I was unconscious during the experiment."

After checking his date he was confused ,he saw that it took him 3 years .

Kairos :"What !!!

I didn't think I would need so much time.

Even on the panel I didn't notice it carefully because of excitement.".

Son Goku should already be found by Son Gohan and his journey should in next 6 years as the story starts at 749th year.

Then I check my phone , I see that my phone missed call and message across 99+ , after careful seeing I saw Mia , Celeste and Julia called, messaged me more 200 times .

Well I didn't think that I would be unconscious for 3 year , and I didn't inform them about it .

Now I should call Mia, Celeste and Julia to relief them , they should probably be searching for me .

And after that I should start working for the gravity chamber .

I should now focus on getting more money to make gravity chamber as I would probably have less than a billion , and all those apps would probably in decline as they were without update for a long time . I guess i don't have much money left after buying all the the materials for the experiment.

Soon I went to meet them but they were in doubt as my looks and physique is totally different from past , so I started to tell them about all the things happened we did during the 7 months, together

.Then I sat with them and started to explain what I aspire and what I was doing for such long time .

Well I didn't told them everything , just that I developed a serum to increase my effect combat power and I aspire to become the best Martial artist.


After telling them , they collectively scolded me for a longtime and Celeste hit my shoulder angrily for taking such huge risk without preparation and precautions.

After sometime soon they accepted my new looks.

Late at night , we seperated but me and Mia went to Motel to busy ourselves ,as she was really thirsty for it .

(Omitting 1000 words).

Next day , I met them but now we are more close to each other , either they missed me a lot or they started to see me with different perception like adults.

As after becoming Saiyan my height increased and body became more muscular.

Next day I went to my home to rest and relax, but with me Celeste , Julia and Mia also came with a reason to prevent me from doing such experiments without precautions again.

But I feel that they probably have different reasons. Probably many things have happened in the past 3 years .

Now I need to be updated about everything that happened during my absence.

Kairos : Mia tomorrow bring me about all the news and everything that happened in the company during my absence.

Mia: Ok Boss.